Material >
........
MgTi3S6 | GGA-PBE | optimized geometry

magnetization = 1.94 μB per cell
total energy after the MP2020 corrections = -6.5938 eV/atom
space-group type = No. 164
total energy = -6.29 eV/atom
excess energy over the best structure of this formula in the dataset = 0.001 eV/atom

Cell and atoms, written as CIF:
```
data_MgTi3S6
_symmetry_space_group_name_H-M 'P 1'
_symmetry_Int_Tables_number 1
_cell_length_a 3.499
_cell_length_b 3.499
_cell_length_c 21.003
_cell_angle_alpha 90.00
_cell_angle_beta 90.00
_cell_angle_gamma 120.01
loop_
_symmetry_equiv_pos_as_xyz
'x,y,z'
loop_
_atom_site_label
_atom_site_type_symbol
_atom_site_fract_x
_atom_site_fract_y
_atom_site_fract_z
S1 S 0.667 0.333 0.575
S2 S 0.333 0.667 0.715
S3 S 0.666 0.333 0.285
S4 S 0.333 0.667 0.066
S5 S 0.333 0.667 0.425
S6 S 0.666 0.333 0.934
Mg1 Mg 0.000 0.000 0.500
Ti1 Ti 0.000 0.000 0.653
Ti2 Ti 0.001 0.000 0.000
Ti3 Ti 0.000 0.000 0.347
```



MgTe2MoW2Se2S2 | GGA-PBE | optimized geometry

magnetization = 0.02 μB per cell
total energy after the MP2020 corrections = -6.4747 eV/atom
space-group type = No. 8
total energy = -6.37 eV/atom
excess energy over the best structure of this formula in the dataset = 0.019 eV/atom

Cell and atoms, written as CIF:
```
data_MgTe2MoW2Se2S2
_symmetry_space_group_name_H-M 'P 1'
_symmetry_Int_Tables_number 1
_cell_length_a 3.347
_cell_length_b 3.348
_cell_length_c 36.979
_cell_angle_alpha 90.00
_cell_angle_beta 89.83
_cell_angle_gamma 120.01
loop_
_symmetry_equiv_pos_as_xyz
'x,y,z'
loop_
_atom_site_label
_atom_site_type_symbol
_atom_site_fract_x
_atom_site_fract_y
_atom_site_fract_z
Se1 Se 0.331 0.665 0.396
Se2 Se 0.335 0.668 0.306
S1 S 0.666 0.333 0.065
S2 S 0.661 0.330 0.148
Mg1 Mg 0.331 0.665 0.229
Te1 Te 0.664 0.332 0.630
Te2 Te 0.670 0.335 0.527
W1 W 0.330 0.665 0.106
W2 W 0.334 0.667 0.578
Mo1 Mo 0.666 0.333 0.351
```



LiH3CO3 | GGA-PBE | optimized geometry

magnetization = 0.00 μB per cell
total energy after the MP2020 corrections = -6.0147 eV/atom
space-group type = No. 33
largest piezoelectric modulus = 0.164 C/m²
total energy = -5.76 eV/atom

Cell and atoms, written as CIF:
```
data_LiH3CO3
_symmetry_space_group_name_H-M 'P 1'
_symmetry_Int_Tables_number 1
_cell_length_a 4.859
_cell_length_b 6.615
_cell_length_c 10.056
_cell_angle_alpha 90.00
_cell_angle_beta 90.00
_cell_angle_gamma 90.00
loop_
_symmetry_equiv_pos_as_xyz
'x,y,z'
loop_
_atom_site_label
_atom_site_type_symbol
_atom_site_fract_x
_atom_site_fract_y
_atom_site_fract_z
H1 H 0.124 0.894 0.370
H2 H 0.843 0.476 0.023
H3 H 0.843 0.024 0.523
H4 H 0.343 0.976 0.477
H5 H 0.125 0.161 0.715
H6 H 0.125 0.339 0.215
H7 H 0.343 0.524 0.977
H8 H 0.625 0.839 0.285
H9 H 0.624 0.394 0.130
H10 H 0.625 0.661 0.785
H11 H 0.124 0.606 0.870
H12 H 0.624 0.106 0.630
C1 C 0.247 0.387 0.302
C2 C 0.747 0.613 0.698
C3 C 0.247 0.113 0.802
C4 C 0.747 0.887 0.198
O1 O 0.618 0.922 0.090
O2 O 0.506 0.401 0.288
O3 O 0.674 0.394 0.033
O4 O 0.006 0.599 0.712
O5 O 0.118 0.422 0.410
O6 O 0.174 0.894 0.467
O7 O 0.506 0.099 0.788
O8 O 0.174 0.606 0.967
O9 O 0.674 0.106 0.533
O10 O 0.006 0.901 0.212
O11 O 0.618 0.578 0.590
O12 O 0.118 0.078 0.910
Li1 Li 0.730 0.381 0.451
Li2 Li 0.230 0.619 0.549
Li3 Li 0.730 0.119 0.951
Li4 Li 0.230 0.881 0.049
```



Ti2FeOs | GGA-PBE | optimized geometry

space-group type = No. 225
total energy = -9.44 eV/atom

Cell and atoms, written as CIF:
```
data_Ti2FeOs
_symmetry_space_group_name_H-M 'P 1'
_symmetry_Int_Tables_number 1
_cell_length_a 4.298
_cell_length_b 4.298
_cell_length_c 4.298
_cell_angle_alpha 60.00
_cell_angle_beta 60.00
_cell_angle_gamma 60.00
loop_
_symmetry_equiv_pos_as_xyz
'x,y,z'
loop_
_atom_site_label
_atom_site_type_symbol
_atom_site_fract_x
_atom_site_fract_y
_atom_site_fract_z
Os1 Os 0.000 0.000 0.000
Ti1 Ti 0.750 0.750 0.750
Ti2 Ti 0.250 0.250 0.250
Fe1 Fe 0.500 0.500 0.500
```



Sm3GeO8 | GGA-PBE | optimized geometry

magnetization = 6.00 μB per cell
total energy after the MP2020 corrections = -7.6924 eV/atom
space-group type = No. 11
........

Wanted >
Restate all of the calculation results above verbatim.

Done >
MgTi3S6 | GGA-PBE | optimized geometry

magnetization = 1.94 μB per cell
total energy after the MP2020 corrections = -6.5938 eV/atom
space-group type = No. 164
total energy = -6.29 eV/atom
excess energy over the best structure of this formula in the dataset = 0.001 eV/atom

Cell and atoms, written as CIF:
```
data_MgTi3S6
_symmetry_space_group_name_H-M 'P 1'
_symmetry_Int_Tables_number 1
_cell_length_a 3.499
_cell_length_b 3.499
_cell_length_c 21.003
_cell_angle_alpha 90.00
_cell_angle_beta 90.00
_cell_angle_gamma 120.01
loop_
_symmetry_equiv_pos_as_xyz
'x,y,z'
loop_
_atom_site_label
_atom_site_type_symbol
_atom_site_fract_x
_atom_site_fract_y
_atom_site_fract_z
S1 S 0.667 0.333 0.575
S2 S 0.333 0.667 0.715
S3 S 0.666 0.333 0.285
S4 S 0.333 0.667 0.066
S5 S 0.333 0.667 0.425
S6 S 0.666 0.333 0.934
Mg1 Mg 0.000 0.000 0.500
Ti1 Ti 0.000 0.000 0.653
Ti2 Ti 0.001 0.000 0.000
Ti3 Ti 0.000 0.000 0.347
```



MgTe2MoW2Se2S2 | GGA-PBE | optimized geometry

magnetization = 0.02 μB per cell
total energy after the MP2020 corrections = -6.4747 eV/atom
space-group type = No. 8
total energy = -6.37 eV/atom
excess energy over the best structure of this formula in the dataset = 0.019 eV/atom

Cell and atoms, written as CIF:
```
data_MgTe2MoW2Se2S2
_symmetry_space_group_name_H-M 'P 1'
_symmetry_Int_Tables_number 1
_cell_length_a 3.347
_cell_length_b 3.348
_cell_length_c 36.979
_cell_angle_alpha 90.00
_cell_angle_beta 89.83
_cell_angle_gamma 120.01
loop_
_symmetry_equiv_pos_as_xyz
'x,y,z'
loop_
_atom_site_label
_atom_site_type_symbol
_atom_site_fract_x
_atom_site_fract_y
_atom_site_fract_z
Se1 Se 0.331 0.665 0.396
Se2 Se 0.335 0.668 0.306
S1 S 0.666 0.333 0.065
S2 S 0.661 0.330 0.148
Mg1 Mg 0.331 0.665 0.229
Te1 Te 0.664 0.332 0.630
Te2 Te 0.670 0.335 0.527
W1 W 0.330 0.665 0.106
W2 W 0.334 0.667 0.578
Mo1 Mo 0.666 0.333 0.351
```



LiH3CO3 | GGA-PBE | optimized geometry

magnetization = 0.00 μB per cell
total energy after the MP2020 corrections = -6.0147 eV/atom
space-group type = No. 33
largest piezoelectric modulus = 0.164 C/m²
total energy = -5.76 eV/atom

Cell and atoms, written as CIF:
```
data_LiH3CO3
_symmetry_space_group_name_H-M 'P 1'
_symmetry_Int_Tables_number 1
_cell_length_a 4.859
_cell_length_b 6.615
_cell_length_c 10.056
_cell_angle_alpha 90.00
_cell_angle_beta 90.00
_cell_angle_gamma 90.00
loop_
_symmetry_equiv_pos_as_xyz
'x,y,z'
loop_
_atom_site_label
_atom_site_type_symbol
_atom_site_fract_x
_atom_site_fract_y
_atom_site_fract_z
H1 H 0.124 0.894 0.370
H2 H 0.843 0.476 0.023
H3 H 0.843 0.024 0.523
H4 H 0.343 0.976 0.477
H5 H 0.125 0.161 0.715
H6 H 0.125 0.339 0.215
H7 H 0.343 0.524 0.977
H8 H 0.625 0.839 0.285
H9 H 0.624 0.394 0.130
H10 H 0.625 0.661 0.785
H11 H 0.124 0.606 0.870
H12 H 0.624 0.106 0.630
C1 C 0.247 0.387 0.302
C2 C 0.747 0.613 0.698
C3 C 0.247 0.113 0.802
C4 C 0.747 0.887 0.198
O1 O 0.618 0.922 0.090
O2 O 0.506 0.401 0.288
O3 O 0.674 0.394 0.033
O4 O 0.006 0.599 0.712
O5 O 0.118 0.422 0.410
O6 O 0.174 0.894 0.467
O7 O 0.506 0.099 0.788
O8 O 0.174 0.606 0.967
O9 O 0.674 0.106 0.533
O10 O 0.006 0.901 0.212
O11 O 0.618 0.578 0.590
O12 O 0.118 0.078 0.910
Li1 Li 0.730 0.381 0.451
Li2 Li 0.230 0.619 0.549
Li3 Li 0.730 0.119 0.951
Li4 Li 0.230 0.881 0.049
```



Ti2FeOs | GGA-PBE | optimized geometry

space-group type = No. 225
total energy = -9.44 eV/atom

Cell and atoms, written as CIF:
```
data_Ti2FeOs
_symmetry_space_group_name_H-M 'P 1'
_symmetry_Int_Tables_number 1
_cell_length_a 4.298
_cell_length_b 4.298
_cell_length_c 4.298
_cell_angle_alpha 60.00
_cell_angle_beta 60.00
_cell_angle_gamma 60.00
loop_
_symmetry_equiv_pos_as_xyz
'x,y,z'
loop_
_atom_site_label
_atom_site_type_symbol
_atom_site_fract_x
_atom_site_fract_y
_atom_site_fract_z
Os1 Os 0.000 0.000 0.000
Ti1 Ti 0.750 0.750 0.750
Ti2 Ti 0.250 0.250 0.250
Fe1 Fe 0.500 0.500 0.500
```



Sm3GeO8 | GGA-PBE | optimized geometry

magnetization = 6.00 μB per cell
total energy after the MP2020 corrections = -7.6924 eV/atom
space-group type = No. 11